
Diet and Nutrition: (references)
- Eliminate foods that cause an allergic response or to which
there is a sensitivity (fast, use an elimination diet, or allergy
test to isolate such foods) - the most
common allergens associated with schizophrenia are: dairy products and wheat
- Eliminate caffeine
Vitamins and Minerals: (references)
- Individual botanicals to be considered for this condtion:
Homeopathic Remedies: (references)
- General:
ANAC, anh, AUR, bell, carc, hyos, kali-bi, LACH, med, meli, STRAM, verat
- Catatonic:
clorpr, cic, convo-s, cortico, halo, rauw, reser, thala, thiop
- Paranoid:
anac, anh, ars, bell, carc, cupr, hyos, LACH, kali-bi, med, meli, nerc, plat, pib, rauw, stram, verat
- Paranoid, conspiracies, against him, there were:
anac, ars, lach, pib, puls
- Paranoid, enemy, surrounded by:
anac, carb-s, erot-h, lach, merc
- Paranoid, enemy, under the bed:
- Paranoid, enemy, wait for an, lying in:
- Paranoid, persecuted, that he is:
abrot, absin, anac, ars, aur, bell, calc, CHIN, cic, cocaine, con, crot-h, cupr, cycl, DROS, hell, hyos, IGN, kali-br, LACH, lyc, med, meli, merc, nat-c, nat-m, nux-v, op, plb, puls, rhus-t, sil, spong, staph, stram, stry, sulph, syph, thyr, verat, zinc
- Paranoid, pursued, by enemies:
absin, anac, ars, aur, bell, chin, cic, cocaine, con, crot-h, cupr, cycl, dros, hell, hyos, kali-br, lach, lepi, lyc, med, meli, merc, nat-c, nux-v, plb, puls, rhus-t, sel, stram, stry, zinc
- Paranoid, pursued, by enemies, watched, that she is being:
(These materials data were left in the page by mistake)
Entry 1:
# LiOsN2 (PBE, optimized geometry)
# energy above the lowest structure with this stoichiometry	0.023	eV per atom
# energy of formation	-0.12	eV/atom
# final energy	-7.395	eV/atom
data_LiOsN2
_symmetry_space_group_name_H-M 'P n a 21'
_symmetry_Int_Tables_number 33
_symmetry_space_group_name_Hall 'P 2c -2n'
_cell_length_a 5.691
_cell_length_b 6.524
_cell_length_c 5.444
_cell_angle_alpha 90.00
_cell_angle_beta 90.00
_cell_angle_gamma 90.00
loop_
_atom_site_label
_atom_site_fract_x
_atom_site_fract_y
_atom_site_fract_z
Li1 0.081 0.123 0.000
Os1 0.071 0.625 0.001
N1 0.067 0.607 0.348
N2 0.111 0.144 0.399


Entry 2:
# LiOsN2 (PBE, optimized geometry)
# energy above the lowest structure with this stoichiometry	0.000	eV per atom
# energy of formation	-0.15	eV/atom
# final energy	-7.418	eV/atom
data_LiOsN2
_symmetry_space_group_name_H-M 'I -4 2 d'
_symmetry_Int_Tables_number 122
_symmetry_space_group_name_Hall 'I -4 2bw'
_cell_length_a 4.661
_cell_length_b 4.661
_cell_length_c 9.265
_cell_angle_alpha 90.00
_cell_angle_beta 90.00
_cell_angle_gamma 90.00
loop_
_atom_site_label
_atom_site_fract_x
_atom_site_fract_y
_atom_site_fract_z
Li1 0.000 0.000 0.000
Os1 0.000 0.000 0.500
N1 0.205 0.750 0.625


Entry 3:
# Li2OsN2 (PBE, optimized geometry)
# energy of formation	-0.14	eV/atom
# final energy	-6.341	eV/atom
data_Li2OsN2
_symmetry_space_group_name_H-M 'C 1 2/m 1'
_symmetry_Int_Tables_number 12
_symmetry_space_group_name_Hall '-C 2y'
_cell_length_a 5.839
_cell_length_b 2.977
_cell_length_c 5.234
_cell_angle_alpha 90.00
_cell_angle_beta 91.28
_cell_angle_gamma 90.00
loop_
_atom_site_label
_atom_site_fract_x
_atom_site_fract_y
_atom_site_fract_z
Li1 0.154 0.000 0.364
Os1 0.000 0.500 0.000
N1 0.177 0.000 0.790


Q: Which value of energy of formation does entry 2 give?
A: -0.15 eV/atom


(1)
Here is ThCdRh2 after structural relaxation from the Materials Project database. Energies are from PBE-GGA.

Lattice parameters (Å, degrees): 6.834 6.834 6.834 90.00 90.00 90.00
Space group Fm-3m (No. 225)
One atom of each set of equivalent atoms:
Th: 0.000 0.000 0.000 x4
Cd: 0.000 0.000 0.500 x4
Rh: 0.250 0.250 0.250 x8

Properties
Formation enthalpy at 0 K: -59.30 kJ/mol of atoms


(2)
Here is HoBrO after structural relaxation from the Materials Project database. Energies are from PBE-GGA.

Lattice parameters (Å, degrees): 3.833 3.833 8.878 90.00 90.00 90.00
Space group P4/nmm (No. 129, origin choice 2)
One atom of each set of equivalent atoms:
Ho: 0.250 0.250 0.127 x2
Br: 0.250 0.250 0.683 x2
O: 0.250 0.750 0.000 x2

Properties
Formation enthalpy at 0 K: -306.69 kJ/mol of atoms


(3)
Here is CaB2O4 after structural relaxation from the Materials Project database. Energies are from PBE-GGA.

Lattice parameters (Å, degrees): 9.088 9.088 9.088 90.00 90.00 90.00
Space group Pa-3 (No. 205)
One atom of each set of equivalent atoms:
Ca: 0.000 0.000 0.000 x4
Ca: 0.127 0.627 0.873 x8
B: 0.119 0.190 0.345 x24
O: 0.006 0.091 0.282 x24
O: 0.120 0.168 0.768 x24

Properties
anac, aq-mar, ARS, bar-c, calc, hyos, lach, med, meli, rhus-t
(For an overview of Homeopathy, click here.)
- Check for polysystemic candidiasis
- Check for autoimmune disorders
- Consider fasting for several days two times a year.
Recommended Labs:
- Rule out bipolar disorder: History, Physical Exam, Self Assessment for Bipolar Disorder
- Rule out brain tumor: PET Scan, MRI
- Rule out brief psychotic disorder: History, Physical Exam
- Rule out delirium: History, Physical Exam
- Rule out drugs of abuse: History, Drug Screen
- Rule out encephalitis: Lumbar Puncture with CSF Culture
- Rule out frontal brain disorder: History, Physical Exam, PET Scan, MRI
- Rule out heavy metal poisoning: Hair Analysis
- Rule out post-traumatic stress disorder: History, Physical Exam
- Rule out obsessive compulsive disorder: History, Physical Exam
- Rule out schizoaffective disorder: History, Physical Exam
* The recommended use of this supplement or therapy is based on a physiological mechanism or empirical data and is not necessarily supported by peer-reviewed research studies.
Copyright 1998 - 2008 by L. Vicky Crouse, ND and James S. Reiley, ND. All rights reserved (ISSN 1527-0661).